Top left: SEM image of a deformed microresonator coupled with a nanowaveguide. Top right: Schematic for the chaos-assisted momentum-transformed coupling process. Inset: Short-time snapshots in 3-D finite-difference time-domain (FDTD) simulations of spatial intensity distribution. Bottom: 3-D FDTD simulation showing coupling efficiencies of a deformed (red) and a circular (blue) microresonator coupled with a nanowaveguide. [Enlarge figure]
Momentum conservation is one of nature’s fundamental laws, dominating the movements of matter in isolated systems ranging from galaxies to elementary particles. In optics and photonics, this conservation law regulates many interesting physical processes. For example, optical whispering-gallery-mode (WGM) microresonators,1 which confine resonant photons by total internal reflection, traditionally possess rotational symmetry. The total-internal-reflection angle—that is, the angular momentum of a photon in the WGM microresonator—remains constant. Unfortunately, this rules out many desired processes in broadband photonics.
Recently, our team reported broadband chaos-assisted momentum transformations in an asymmetric WGM microresonator.2 We designed a specially shaped asymmetric, or deformed, microresonator to create chaotic channels that transform momenta of light.3 Such chaotic channels, via dynamic tunneling,4,5 can act as a liaison between light in the external couplers and the high-Q WGM resonators, by raising or lowering the angular momenta of light between them in a few picoseconds. As a result, simultaneous broadband coupling of light, from the visible to the near-infrared, can occur between a nanofiber waveguide and a WGMs microresonator—and thus enables broadband momentum transformations of chaotic photons.
We used a full 3-D finite-difference time-domain (FDTD) simulation to demonstrate this momentum transformation mechanism and its dynamics, which enable the effective coupling of WGMs in a silica microresonator over the material’s entire transparent wavelength band (500 to 2500 nm). Experimentally, we realized the momentum transformation process in a nanofiber waveguide coupled to an ultrahigh-Q-factor deformed microtoroid.
This system appears to have significant potential advantages for nonlinear frequency conversions, in applications such as broadband cascaded Raman lasers, third-harmonic generation, and frequency comb generation. Beyond those applications, the proposed momentum transformation scheme could also find use in a large number of other fields—not only multimode lasers, but broadband quantum memories, multiwavelength optical networks, supercontinuum light sources and quantum information processing.
X. Jiang, Peking University, Beijing, China, and Washington University in St. Louis, Mo., USA
S.-X. Zhang, L. Wang, Q. Gong, and Y.-F. Xiao, Peking University
L. Yang, Washington University in St. Louis
Linbo Shao and Marko Lončar, Harvard University, Mass., USA
Xu Yi, California Institute of Technology, USA
Jan Wiersig, Otto-von-Guericke-Universität Magdeburg, Magdeburg, Germany
1. K.J. Vahala. Nature 424, 839 (2003).
2. X. Jiang et al. Science 358, 344 (2017).
3. X. Jiang et al. Adv. Mater. 24, OP260 (2012).
4. H. Cao and J. Wiersig. Rev. Mod. Phys. 87, 61 (2016).
Unrelated to this page: calculated crystals
Entry 1:
This record from Materials Project describes a relaxed structure of Ba11B26P2H6O58. The functional is PBE.

Results
- MP2020-corrected energy (eV per cell) = -1628.58
- ΔE_f (kJ/mol of atoms) = -282.3
- VASP energy (eV per formula unit) = -774.4

Cell: 6.992 13.818 25.994 Å, 90.00 90.05 90.00°
Space group P2_1/c (No. 14)
Asymmetric unit:
Ba: 0.000 0.000 0.000 (multiplicity 2)
Ba: 0.136 0.173 0.153 (multiplicity 4)
Ba: 0.157 0.676 0.196 (multiplicity 4)
Ba: 0.190 0.522 0.916 (multiplicity 4)
Ba: 0.326 0.215 0.909 (multiplicity 4)
Ba: 0.480 0.062 0.774 (multiplicity 4)
B: 0.003 0.203 0.496 (multiplicity 4)
B: 0.013 0.076 0.760 (multiplicity 4)
B: 0.015 0.573 0.641 (multiplicity 4)
B: 0.145 0.087 0.672 (multiplicity 4)
B: 0.154 0.694 0.579 (multiplicity 4)
B: 0.190 0.659 0.806 (multiplicity 4)
B: 0.265 0.633 0.057 (multiplicity 4)
B: 0.302 0.523 0.392 (multiplicity 4)
B: 0.330 0.688 0.340 (multiplicity 4)
B: 0.334 0.533 0.599 (multiplicity 4)
B: 0.341 0.022 0.599 (multiplicity 4)
B: 0.481 0.105 0.047 (multiplicity 4)
B: 0.481 0.158 0.649 (multiplicity 4)
P: 0.338 0.157 0.298 (multiplicity 4)
H: 0.116 0.723 0.446 (multiplicity 4)
H: 0.279 0.166 0.515 (multiplicity 4)
H: 0.419 0.706 0.496 (multiplicity 4)
O: 0.013 0.730 0.948 (multiplicity 4)
O: 0.019 0.712 0.536 (multiplicity 4)
O: 0.032 0.637 0.841 (multiplicity 4)
O: 0.049 0.677 0.627 (multiplicity 4)
O: 0.079 0.064 0.809 (multiplicity 4)
O: 0.123 0.032 0.899 (multiplicity 4)
O: 0.124 0.034 0.722 (multiplicity 4)
O: 0.146 0.630 0.751 (multiplicity 4)
O: 0.147 0.626 0.015 (multiplicity 4)
O: 0.184 0.012 0.631 (multiplicity 4)
O: 0.188 0.151 0.488 (multiplicity 4)
O: 0.190 0.158 0.254 (multiplicity 4)
O: 0.200 0.521 0.642 (multiplicity 4)
O: 0.214 0.733 0.304 (multiplicity 4)
O: 0.227 0.127 0.349 (multiplicity 4)
O: 0.275 0.712 0.088 (multiplicity 4)
O: 0.278 0.595 0.350 (multiplicity 4)
O: 0.282 0.615 0.566 (multiplicity 4)
O: 0.302 0.156 0.677 (multiplicity 4)
O: 0.320 0.060 0.065 (multiplicity 4)
O: 0.335 0.577 0.442 (multiplicity 4)
O: 0.363 0.613 0.823 (multiplicity 4)
O: 0.387 0.553 0.066 (multiplicity 4)
O: 0.428 0.241 0.809 (multiplicity 4)
O: 0.454 0.184 0.014 (multiplicity 4)
O: 0.458 0.102 0.599 (multiplicity 4)
O: 0.467 0.041 0.881 (multiplicity 4)
O: 0.477 0.737 0.364 (multiplicity 4)
O: 0.494 0.588 0.214 (multiplicity 4)

Entry 2:
This record from Materials Project describes a relaxed structure of Ba2CuS2Br2. The functional is PBE.

Results
- MP2020-corrected energy (eV per cell) = -65.38
- polymorph energy (0 for the lowest one) (meV/atom) = 0
- ΔE_f (kJ/mol of atoms) = -182.0
- VASP energy (eV per formula unit) = -30.6

Cell: 4.694 4.694 17.964 Å, 90.00 90.00 90.00°
Space group I4/mmm (No. 139)
Asymmetric unit:
Ba: 0.000 0.000 0.120 (multiplicity 4)
Cu: 0.000 0.000 0.500 (multiplicity 2)
S: 0.000 0.500 0.000 (multiplicity 4)
Br: 0.000 0.000 0.317 (multiplicity 4)

Entry 3:
This record from Materials Project describes a relaxed structure of ThAl. The functional is PBE.
5. J.U. Nöckel and A. D. Stone. Nature, 385, 45 (1997).